
EPA Told to Weigh Human Pesticide Test Data

Calculated crystals, kept here for reference.
/*
Entry 1:
LiCoBP2H2O11 | PBE with a Hubbard U | optimized geometry

```
LiCoBP2H2O11
1.0
3.9552 9.0725 0.4191
4.6391 -7.2006 -4.9759
-8.1260 4.1713 -13.6122
Li Co B P H O
6 6 6 12 12 66
Direct
0.7741 0.2259 0.7500
0.4519 0.2259 0.4167
0.2259 0.7741 0.2500
0.5481 0.7741 0.9167
0.7741 0.5481 0.0833
0.2259 0.4519 0.5833
0.4819 0.5181 0.7500
0.0362 0.5181 0.4167
0.5181 0.4819 0.2500
0.9638 0.4819 0.9167
0.4819 0.9638 0.0833
0.5181 0.0362 0.5833
0.1504 0.8496 0.7500
0.6991 0.8496 0.4167
0.8496 0.1504 0.2500
0.3009 0.1504 0.9167
0.1504 0.3009 0.0833
0.8496 0.6991 0.5833
0.6442 0.8220 0.5782
0.1778 0.3558 0.2449
0.3558 0.1780 0.0782
0.8222 0.1780 0.0884
0.1780 0.8222 0.9116
0.8222 0.6442 0.7449
0.8220 0.6442 0.4218
0.1778 0.8220 0.5884
0.8220 0.1778 0.4116
0.1780 0.3558 0.9218
0.3558 0.1778 0.7551
0.6442 0.8222 0.2551
0.5164 0.0399 0.9296
0.5236 0.4836 0.5963
0.4836 0.9601 0.4296
0.4764 0.9601 0.7371
0.9601 0.4764 0.2629
0.4764 0.5164 0.0963
0.0399 0.5164 0.0704
0.5236 0.0399 0.2371
0.0399 0.5236 0.7629
0.9601 0.4836 0.5704
0.4836 0.5236 0.4037
0.5164 0.4764 0.9037
0.2697 0.4991 0.8661
0.2293 0.7303 0.5327
0.7303 0.5009 0.3661
0.7707 0.5009 0.8006
0.5009 0.7707 0.1994
0.7707 0.2697 0.0327
0.4991 0.2697 0.1339
0.2293 0.4991 0.3006
0.4991 0.2293 0.6994
0.5009 0.7303 0.6339
0.7303 0.2293 0.4673
0.2697 0.7707 0.9673
0.9523 0.4393 0.7929
0.4870 0.0477 0.4596
0.0477 0.5607 0.2929
0.5130 0.5607 0.8738
0.5607 0.5130 0.1262
0.5130 0.9523 0.9596
0.4393 0.9523 0.2071
0.4870 0.4393 0.3738
0.4393 0.4870 0.6262
0.5607 0.0477 0.7071
0.0477 0.4870 0.5404
0.9523 0.5130 0.0404
0.7853 0.8024 0.5987
0.0171 0.2147 0.2654
0.2147 0.1976 0.0987
0.9829 0.1976 0.0680
0.1976 0.9829 0.9320
0.9829 0.7853 0.7654
0.8024 0.7853 0.4013
0.0171 0.8024 0.5680
0.8024 0.0171 0.4320
0.1976 0.2147 0.9013
0.2147 0.0171 0.7346
0.7853 0.9829 0.2346
0.8891 0.1109 0.7500
0.2218 0.1109 0.4167
0.1109 0.8891 0.2500
0.7782 0.8891 0.9167
0.8891 0.7782 0.0833
0.1109 0.2218 0.5833
0.5937 0.7699 0.4867
0.1762 0.4063 0.1534
0.4063 0.2301 0.9867
0.8238 0.2301 0.1800
0.2301 0.8238 0.8200
0.8238 0.5937 0.6534
0.7699 0.5937 0.5133
0.1762 0.7699 0.6800
0.7699 0.1762 0.3200
0.2301 0.4063 0.0133
0.4063 0.1762 0.8466
0.5937 0.8238 0.3466
0.6904 0.9946 0.5871
0.3042 0.3096 0.2538
0.3096 0.0054 0.0871
0.6958 0.0054 0.0796
0.0054 0.6958 0.9204
0.6958 0.6904 0.7538
0.9946 0.6904 0.4129
0.3042 0.9946 0.5796
0.9946 0.3042 0.4204
0.0054 0.3096 0.9129
0.3096 0.3042 0.7462
0.6904 0.6958 0.2462
```



Entry 2:
LiMnP2HO7 | PBE with a Hubbard U | optimized geometry

Calculated values
relative energy among the computed polymorphs	0.12	eV/f.u.

```
LiMnP2HO7
1.0
-9.9296 -5.7768 5.9028
1.8382 -4.6704 -1.4784
5.6902 -3.9100 5.7455
Li Mn P H O
4 4 8 4 28
Direct
0.5145 0.6870 0.1230
0.0145 0.3130 0.3770
0.9855 0.6870 0.6230
0.4855 0.3130 0.8770
0.8741 0.3789 0.0137
0.3741 0.6211 0.4863
0.6259 0.3789 0.5137
0.1259 0.6211 0.9863
0.5443 0.0929 0.2493
0.0443 0.9071 0.2507
0.8319 0.6969 0.2722
0.3319 0.3031 0.2278
0.6681 0.6969 0.7722
*/

Times Staff Writer

A federal appeals court Tuesday directed the government to resume considering the results of tests on human subjects as it determines acceptable exposure levels to toxic pesticides.

The U.S. Court of Appeals for the District of Columbia ruled that the Environmental Protection Agency had used flawed procedures when, in December 2001, it imposed a moratorium on using the data from human tests to determine allowable pesticide levels.

At that time, EPA Administrator Christie Whitman declared that the agency would not consider data from human clinical studies while it examined the ethical and scientific acceptability of the tests.


The pesticide industry sued, arguing that the EPA broke the law by setting the moratorium without first issuing a notice of its plans and then collecting public comment.

The court agreed, and directed the agency to accept data from human tests on a case-by-case basis, using high ethical standards, at least until it establishes a new regulation.

EPA spokesman Joe Martyak said the agency was disappointed in the ruling and was evaluating its options.


When announcing the ban, the agency sought the advice of the National Academy of Sciences on whether it was appropriate to intentionally expose human subjects to small amounts of toxic pesticides. The agency expects a report from an academy panel this year.

The EPA also announced last month that it planned to propose new testing regulations. Martyak said it was not known how long it would take to develop the rules.

Unrelated to this page: records of crystals
'''
First-principles (PBE-GGA) data for an optimized crystal structure of LuFe4Ge2, as listed in the Materials Project.

a = 7.176 Å, b = 7.176 Å, c = 3.858 Å
α = 90.00°, β = 90.00°, γ = 90.00°
Space group P4_2/mnm (No. 136)
Symmetry-distinct sites (fractional):
Lu  0.000  0.000  0.000 (multiplicity 2)
Fe  0.091  0.355  0.500 (multiplicity 8)
Ge  0.216  0.784  0.500 (multiplicity 4)

Values from the calculation:
DFT formation energy (eV per formula unit): -2.1
Magnetic moment (μB/cell): 11.602
ΔE to the lowest computed polymorph (eV per formula unit): 0.02

* * * * *

[1]
Below is Li3VCrP2O8F2 after structural relaxation, with properties calculated at the PBE+U level.

As for the MP2020-corrected energy: -7.369 eV per atom. The total moment comes out at 1.6 μB per formula unit. The space group is P1. For the calculated total energy, the calculation gives -6.7741 eV/atom. For the energy relative to the elements, the calculation gives -2.7397 eV/atom.

abc: 5.2931 5.3831 7.5544
angles: 106.42 109.20 96.94
Positions (direct):
Li (0.0000, 0.0000, 0.0000)
Li (0.2193, 0.4351, 0.3610)
Li (0.4684, 0.8101, 0.7166)
V (0.7258, 0.3987, 0.8506)
Cr (0.7199, 0.3955, 0.3519)
P (0.0586, 0.0391, 0.6095)
P (0.3916, 0.7555, 0.0907)
O (0.0490, 0.7405, 0.5108)
O (0.0895, 0.6448, 0.9299)
O (0.3618, 0.1505, 0.7689)
O (0.4010, 0.0530, 0.1876)
O (0.4481, 0.6083, 0.2412)
O (0.5956, 0.7273, 0.9782)
O (0.8580, 0.0669, 0.7252)
O (0.9990, 0.1881, 0.4604)
F (0.5586, 0.4925, 0.6031)
F (0.8895, 0.3113, 0.1005)



[2]
Below is MgCrF5 after structural relaxation, with properties calculated at the PBE+U level.

As for the MP2020-corrected energy: -6.312 eV per atom. The total moment comes out at 3.0 μB per formula unit. The space group is C2/c. For the calculated total energy, the calculation gives -5.6962 eV/atom. For the energy relative to the elements, the calculation gives -3.3366 eV/atom.

abc: 5.2855 5.2855 7.3961
angles: 110.56 110.56 72.51
Positions (direct):
Mg (0.0238, 0.9762, 0.7500)
Mg (0.9762, 0.0238, 0.2500)
Cr (0.5000, 0.5000, 0.0000)
Cr (0.5000, 0.5000, 0.5000)
F (0.1846, 0.7916, 0.0456)
F (0.2084, 0.8154, 0.4544)
F (0.2224, 0.2799, 0.3703)
F (0.2799, 0.2224, 0.8703)
F (0.3888, 0.6112, 0.7500)
F (0.6112, 0.3888, 0.2500)
F (0.7201, 0.7776, 0.1297)
F (0.7776, 0.7201, 0.6297)
F (0.7916, 0.1846, 0.5456)
F (0.8154, 0.2084, 0.9544)



[3]
Below is MgCrF4 after structural relaxation, with properties calculated at the PBE+U level.

As for the MP2020-corrected energy: -6.378 eV per atom. As for the distance to the lowest polymorph of the same formula: 0.060 eV/atom. The total moment comes out at 0.0 μB per formula unit. The space group is Ibam. For the calculated total energy, the calculation gives -5.7368 eV/atom. For the energy relative to the elements, the calculation gives -3.2260 eV/atom.

abc: 6.3482 6.3482 6.3482
angles: 132.64 131.77 69.91
Positions (direct):
Mg (0.2500, 0.2500, 0.0000)
Mg (0.7500, 0.7500, 0.0000)
Cr (0.0000, 0.5000, 0.5000)
Cr (0.5000, 0.0000, 0.5000)
'''

Environmental groups criticized the court for effectively sanctioning the practice of exposing people to toxic chemicals to help the pesticide industry win approval for some of its riskiest products.


“We are very concerned it will unleash a tidal wave of industry tests on people that are unethical and unscientific,” said Erik Olson, a senior attorney for the Natural Resources Defense Council.

The pesticide industry applauded the decision, saying that it could help keep some pesticides on the market the EPA might have regulated so aggressively that they could no longer be used effectively.

-- begin --
# 1
Here is Mn2SnPd3 after structural relaxation from the Materials Project. Energies are from PBE-GGA.

Calculated values
The energy is -79.9 eV per cell. For the formation energy from the elements, the calculation gives -346 meV per atom. The value obtained for the calculated volume is 16.16 Å³ per atom.

Unit cell a=4.490 b=4.490 c=11.106 alpha=90.00 beta=90.00 gamma=120.00
Fractional coordinates of all 12 atoms:
Mn  0.000  0.000  0.500
Mn  0.333  0.667  0.161
Mn  0.667  0.333  0.839
Mn  0.000  0.000  0.000
Sn  0.333  0.667  0.669
Sn  0.667  0.333  0.331
Pd  0.333  0.667  0.416
Pd  0.667  0.333  0.078
Pd  0.000  0.000  0.755
Pd  0.000  0.000  0.245
Pd  0.333  0.667  0.922
Pd  0.667  0.333  0.584

---

# 2
Here is Cs3TmO3 after structural relaxation from the Materials Project. Energies are from PBE-GGA.

Calculated values
The energy above the most stable polymorph in this dataset is 9 meV per atom. The energy is -71.1 eV per cell. For the formation energy from the elements, the calculation gives -2228 meV per atom. The value obtained for the calculated volume is 27.43 Å³ per atom.

Unit cell a=7.579 b=7.579 c=7.631 alpha=84.00 beta=84.00 gamma=116.61
Fractional coordinates of all 14 atoms:
Cs  0.641  0.641  0.651
Cs  0.790  0.210  0.500
Cs  0.210  0.790  0.500
Cs  0.738  0.262  0.000
Cs  0.262  0.738  0.000
Cs  0.359  0.359  0.349
Tm  0.830  0.830  0.149
Tm  0.170  0.170  0.851
O  0.900  0.900  0.859
O  0.569  0.836  0.264
O  0.836  0.569  0.264
O  0.164  0.431  0.736
O  0.431  0.164  0.736
O  0.100  0.100  0.141

---

# 3
Here is Te2Mo2WSe4 after structural relaxation from the Materials Project. Energies are from PBE-GGA.

Calculated values
The value obtained for the total moment is 0.0 μB/cell. The energy above the most stable polymorph in this dataset is 27 meV per atom. The energy is -59.0 eV per cell. For the formation energy from the elements, the calculation gives -659 meV per atom. The value obtained for the calculated volume is 35.01 Å³ per atom.

Unit cell a=3.403 b=3.403 c=31.417 alpha=90.00 beta=90.00 gamma=120.00
Fractional coordinates of all 9 atoms:
Te  0.333  0.667  0.060
Te  0.333  0.667  0.940
Mo  0.333  0.667  0.769
Mo  0.333  0.667  0.231
W  0.667  0.333  0.000
Se  0.667  0.333  0.716
Se  0.667  0.333  0.179
Se  0.667  0.333  0.821
Se  0.667  0.333  0.284

---

# 4
Here is MgAl4H12O12 after structural relaxation from the Materials Project. Energies are from PBE-GGA.

Calculated values
The value obtained for the total moment is 0.1 μB/cell. The energy above the most stable polymorph in this dataset is 37 meV per atom. The energy is -165.2 eV per cell. For the formation energy from the elements, the calculation gives -1958 meV per atom. The value obtained for the calculated volume is 9.49 Å³ per atom.

Unit cell a=7.427 b=8.697 c=7.253 alpha=107.53 beta=138.55 gamma=90.29
Fractional coordinates of all 29 atoms:
Mg  0.430  0.689  0.696
Al  0.508  0.832  0.318
Al  0.511  0.093  0.698
Al  0.985  0.693  0.623
-- stop --
_Back to the text_

The EPA determines how much of a particular pesticide can be applied to crops and how close to harvest time it can be applied. Too much exposure to some pesticides can result in neurological damage, cancer or other serious illnesses.

Jay Vroom, the president of CropLife America, the industry group that brought the suit, said he did not expect the ruling to result in a proliferation of clinical tests on human subjects because these tests are necessary only when human data are “essential to the continued use of the product.”

“I don’t think that means there will be any significant increase in the number of these kinds of trial studies,” Vroom said.

Most of the data that the industry supplies to the EPA for its pesticide regulations come from tests on laboratory animals. Regulators determine an exposure level for humans that is 10 times more protective than what they regard as safe for animals.


Pesticide companies sponsor clinical tests on volunteers in an effort to prove to regulators that pesticides are no more harmful to humans than they are to laboratory animals. The goal is to persuade the EPA to reduce or eliminate the 10-fold safety cushion.

Environmentalist have criticized human tests on grounds that they generally involve groups statistically too small to prove the pesticides are safe for people who might be susceptible. The size of the test groups ranges from a few people to several dozen.

But Vroom said the small human test groups are adequate because the pesticide companies already have done extensive testing on animals.

“We’re only trying to validate clear questions that have been established by animal testing that has gone ahead of it for years,” he said.

Critics also say that the tests cannot predict the impact of pesticides on children or the elderly because they are not included in the studies.

Whitman announced the ban just weeks after press accounts revealed that Bush administration officials -- soon after taking office -- had told the industry human test results would be considered, reversing an informal ban on such tests set by the Clinton administration.


Whitman said then: “Our paramount concern in developing our policy on these studies must be the protection of human health and adherence to the most rigorous ethical and scientific standards.”

With Whitman leaving the EPA this month, environmentalists have expressed concern that her successor may not have her commitment.

“We are wary that, especially with Administrator Whitman leaving, the Bush administration might try to use this court decision as an excuse to accept industry’s human tests,” said Olson, whose environmental group intervened in the suit on behalf of the EPA.

The court decision comes at a time when the EPA is reassessing 9,000 pesticide safety levels to reflect their effect on children. In general, children can tolerate smaller amounts of pesticides than adults.
